First of all, I want to thank all of you for the feedback on my first blog! I got something like 400 views in the first 24 hours, which is AMAZING! I also got told it jerked a few tears... SORRRRRY!
Now I've told you all about myself, I'm gonna tell you about all the people close too me, as I can imagine I'll be mentioning these people in my blogs ALOT! I'll start with my friends and work my way too family:)
Me and my best friend, Aanisaa. (when I was blonde) |
Aanisaa's art on the beach when we went to Cornwall! |
This girl just means so much to me. She's the best friend a girl could wish for, in a sense that when I'm in hospital, she always makes sure she comes and visits me (even though its 2 long bus journeys away). She runs around after me, if I'm having a coughing fit she can tell when its a bad one, and instantly runs for something for me too spit flem into. The best thing about being her friend, is we can not speak or see each other for ages, then when we do see each other its like we've never been apart! We've known each other for 11 years now, and have been best friends ever since. I can't even put into words how grateful I am for her.
Now I'll tell you abit about my guy-friends:
From left to right.. Me, Aanisaa, George, Kris, Sol, and the two in the back are Blinky and Matt. |
These guys are just, MINT! So much love for them.. I only started speaking to them properly in July, and I have a brother/sister bond with all of them Again I very rarely see these guys cause I've not been going out much lately (keeping myself as warm and as well as I can for Christmas!) but they always come and see me at my house when I can't get out, and they ALWAYS bring me Mcdonalds to the hospital when I'm in, and sometimes the bring be fudge. woo! They're like stars, I don't always see them but I KNOW they're always there. I had an amazing summer with these guys! Hopefully by next summer I will have my sparkly new lungs and have even more fun!:)
Me and Orianna. |
This girl makes my sides hurt, she makes me laugh too the point where I start choking on my laughter.. We have our ups and downs but its usually over stupid stuff, like which shoes we do and don't like or something.. so its easily sorted:) We go and meet celebrities together, cause I get too meet them privately.. CF & being in a wheelchair has too have some perks doesn't it!? ;) This photo by the way, was taken a few weeks ago at a photo shoot we went on together, SO MUCH FUN!
Lucy and Me.. She's 16. |
This is my sister Lucy.. she's my youngest, older sister.. if that makes sense? We fight like cat and dog, but I wind her up really cause I know she won't react ;) We argue so much but if anyone else tries to give either of us crap then the other one doesn't let the person live it down.. Like I said she's the youngest of my 3 older sisters. For some reason I don't have any updated pictures of me with them.. so I'll talk about them on another blog :)
I was going to do this a little longer.. but its 3.30am and I'm getting kind of tired so I'll mention 1 last person
me and my amazing mummy |
### Data records, kept here for reference
<<<
[1]
Computed X-ray powder pattern of HoSc4Ni5 for copper Kα, from a PBE-relaxed structure.
Intensities are scaled so that the largest is 1000.

Principal peaks in the range 15 to 90 degrees two-theta, low angle first:
two_theta  I_rel
28.61  86
30.18  86
32.63  84
35.81  93
39.58  1000
40.12  504
56.37  73
58.04  160
71.43  136
72.54  301
85.23  84
86.64  49

Cell and atoms:
Cell: 3.1783 3.1783 16.3213 Å, 90.00 90.00 90.00°
Element x y z (fractional)
Ho: 0.0000 0.0000 0.0000
Sc: 0.0000 0.0000 0.2070
Sc: 0.0000 0.0000 0.4026
Sc: 0.0000 0.0000 0.5974
Sc: 0.0000 0.0000 0.7930
Ni: 0.5000 0.5000 0.1136
Ni: 0.5000 0.5000 0.3053
Ni: 0.5000 0.5000 0.5000
Ni: 0.5000 0.5000 0.6947
Ni: 0.5000 0.5000 0.8864

***

[2]
Computed X-ray powder pattern of Dy6In3O2 for copper Kα, from a PBE-relaxed structure.
Intensities are scaled so that the largest is 1000.

Principal peaks in the range 15 to 90 degrees two-theta, low angle first:
two_theta  I_rel
27.86  471
28.77  130
30.58  218
31.64  147
34.68  1000
36.18  137
38.41  567
48.69  124
53.79  173
55.45  193
67.08  323
68.01  99

Cell and atoms:
Cell: 12.8480 12.8480 12.8480 Å, 158.98 158.98 29.90°
Element x y z (fractional)
Dy: 0.0854 0.5854 0.5000
Dy: 0.1956 0.1956 0.0000
Dy: 0.4146 0.9146 0.5000
Dy: 0.5854 0.0854 0.5000
Dy: 0.8044 0.8044 0.0000
Dy: 0.9146 0.4146 0.5000
In: 0.3242 0.3242 0.0000
In: 0.5000 0.5000 0.0000
In: 0.6758 0.6758 0.0000
O: 0.1010 0.1010 0.0000
O: 0.8990 0.8990 0.0000

***

[3]
Computed X-ray powder pattern of BaAg2HgH for copper Kα, from a PBE-relaxed structure.
Intensities are scaled so that the largest is 1000.

Principal peaks in the range 15 to 90 degrees two-theta, low angle first:
two_theta  I_rel
17.21  36
31.87  1000
34.83  199
38.00  313
52.49  243
54.83  106
60.60  156
64.83  254
66.61  117
85.90  61
86.16  120
89.92  55

Cell and atoms:
Cell: 4.7361 4.7361 5.1518 Å, 90.00 90.00 90.00°
Element x y z (fractional)
Ba: 0.0000 0.0000 0.0000
Ag: 0.0000 0.5000 0.5000
Ag: 0.5000 0.0000 0.5000
Hg: 0.5000 0.5000 0.0000
H: 0.0000 0.0000 0.5000

***

[4]
Computed X-ray powder pattern of Th2ZnGa3Pt6 for copper Kα, from a PBE-relaxed structure.
Intensities are scaled so that the largest is 1000.

Principal peaks in the range 15 to 90 degrees two-theta, low angle first:
two_theta  I_rel
28.26  294
31.57  1000
33.10  428
35.53  327
38.70  378
40.83  207
44.48  624
46.00  339
46.76  258
53.54  208
61.94  224
65.91  235

Cell and atoms:
Cell: 4.0740 4.0740 15.7869 Å, 90.00 90.00 90.00°
Element x y z (fractional)
Th: 0.0000 0.0000 0.2237
Th: 0.0000 0.0000 0.7763
Zn: 0.0000 0.0000 0.5000
Ga: 0.5000 0.5000 0.0000
Ga: 0.5000 0.5000 0.3108
Ga: 0.5000 0.5000 0.6892
Pt: 0.0000 0.5000 0.3982
Pt: 0.0000 0.5000 0.6018
Pt: 0.5000 0.0000 0.3982
Pt: 0.5000 0.0000 0.6018
Pt: 0.5000 0.5000 0.1537
Pt: 0.5000 0.5000 0.8463

***

[5]
Computed X-ray powder pattern of PmPrNd6Er2 for copper Kα, from a PBE-relaxed structure.
Intensities are scaled so that the largest is 1000.
>>>
My mum is amazing! Her and my "dad" separated about 4 years ago, and ever since she has done everything for me, drives too a from the hospital every day when I'm in, she's now quit her job so she can be my full time carer. She used to be able too do my IV's at home but now the hospital like too keep me in, as I'm on a new drug that can only be given via canula.. so that stinks. But me and my mum have silly arguments all the time, then within seconds we start laughing about it. I love you so much mum!
That's it for now anyway!:)
Liz xo
lizzie u amaze me with your words such caring , fun your friends an family are lucky to have u in their life every pic i see of u your always smiling xxxxx
ReplyDeleteLizzie you have a powerfull strong heart i litterally burted into tears for ure first blog that i just read now and left me out of tissues for your secound blog. It amazes me how strong you are and how difficult it is. Hope you get better asap and get those new lair of lungs and get up and running darling...i wish all the best!! Xoxo